**Brief**
Retype only the lines below with the word "by" in them.

**Listing**
<<<
This entry pairs a crystal structure of BaAc2In3 with its theoretical X-ray powder pattern. Radiation: Cu Kα (weighted mean of Kα1 and Kα2). Structure: DFT lattice parameters and positions (PBE).
Intensities are scaled so that the largest is 100.

abc: 4.154 4.154 12.595
angles: 90.00 90.00 90.00
Space group P4/mmm (No. 123)
Inequivalent atoms, fractional coordinates:
Ba 0.000 0.000 0.000 (multiplicity 1)
Ac 0.000 0.000 0.338 (multiplicity 2)
In 0.500 0.500 0.183 (multiplicity 2)
In 0.500 0.500 0.500 (multiplicity 1)

Largest 12 diffraction maxima, by angle, 2θ = 15–90°:
(1 0 3), 30.3 deg, d 2.953, I 100
(1 1 0), 30.4 deg, d 2.937, I 51
(0 0 6), 43.1 deg, d 2.099, I 9
(2 0 0), 43.6 deg, d 2.077, I 19
(1 1 6), 53.7 deg, d 1.708, I 18
(2 1 3), 54.0 deg, d 1.699, I 39
(2 0 6), 63.0 deg, d 1.476, I 11
(1 0 9), 71.1 deg, d 1.326, I 7
(3 1 0), 71.8 deg, d 1.314, I 17
(2 1 9), 87.2 deg, d 1.118, I 8
(3 1 6), 87.6 deg, d 1.114, I 10
(3 2 3), 87.9 deg, d 1.111, I 10

=====

This entry pairs a crystal structure of ZrCr2Pb with its theoretical X-ray powder pattern. Radiation: Cu Kα (weighted mean of Kα1 and Kα2). Structure: DFT lattice parameters and positions (PBE).
Intensities are scaled so that the largest is 100.

abc: 4.462 4.462 3.584
angles: 90.00 90.00 90.00
Space group P4/mmm (No. 123)
Inequivalent atoms, fractional coordinates:
Zr 0.000 0.000 0.000 (multiplicity 1)
Cr 0.000 0.500 0.500 (multiplicity 2)
Pb 0.500 0.500 0.000 (multiplicity 1)

Largest 12 diffraction maxima, by angle, 2θ = 15–90°:
(1 0 0), 19.9 deg, d 4.462, I 18
(0 0 1), 24.8 deg, d 3.584, I 16
(1 1 0), 28.3 deg, d 3.155, I 23
(1 0 1), 32.0 deg, d 2.794, I 12
(1 1 1), 38.0 deg, d 2.368, I 100
(2 0 0), 40.4 deg, d 2.231, I 42
(2 0 1), 48.0 deg, d 1.894, I 12
(0 0 2), 51.0 deg, d 1.792, I 11
(2 2 0), 58.5 deg, d 1.578, I 14
(2 0 2), 67.0 deg, d 1.397, I 18
(3 1 1), 71.9 deg, d 1.313, I 29
(2 2 2), 81.2 deg, d 1.184, I 11

=====

This entry pairs a crystal structure of Cs2Ag3Br8 with its theoretical X-ray powder pattern. Radiation: Cu Kα (weighted mean of Kα1 and Kα2). Structure: DFT lattice parameters and positions (PBE).
Intensities are scaled so that the largest is 100.

abc: 5.373 5.373 15.860
angles: 90.00 90.00 90.00
Space group P4/mmm (No. 123)
Inequivalent atoms, fractional coordinates:
Cs 0.000 0.000 0.186 (multiplicity 2)
Ag 0.500 0.500 0.000 (multiplicity 1)
Ag 0.500 0.500 0.350 (multiplicity 2)
Br 0.000 0.500 0.000 (multiplicity 2)
Br 0.000 0.500 0.356 (multiplicity 4)
Br 0.500 0.500 0.166 (multiplicity 2)

Largest 12 diffraction maxima, by angle, 2θ = 15–90°:
(1 0 0), 16.5 deg, d 5.373, I 22
(0 0 3), 16.8 deg, d 5.287, I 26
(1 0 3), 23.6 deg, d 3.769, I 51
(1 1 2), 26.0 deg, d 3.427, I 23
(1 1 3), 28.9 deg, d 3.085, I 55
(2 0 0), 33.3 deg, d 2.687, I 100
(0 0 6), 33.9 deg, d 2.644, I 35
(2 1 3), 41.3 deg, d 2.188, I 23
(2 0 5), 44.2 deg, d 2.050, I 24
(2 2 0), 47.9 deg, d 1.900, I 35
(2 0 6), 48.3 deg, d 1.884, I 48
(2 2 6), 60.0 deg, d 1.543, I 24

=====

This entry pairs a crystal structure of PmYPu with its theoretical X-ray powder pattern. Radiation: Cu Kα (weighted mean of Kα1 and Kα2). Structure: DFT lattice parameters and positions (PBE).
Intensities are scaled so that the largest is 100.

abc: 13.045 3.400 9.740
angles: 90.00 117.12 90.00
Space group C2/m (No. 12)
Inequivalent atoms, fractional coordinates:
Pm 0.121 0.000 0.339 (multiplicity 4)
Y 0.122 0.500 0.672 (multiplicity 4)
Pu 0.129 0.000 0.993 (multiplicity 4)

Largest 12 diffraction maxima, by angle, 2θ = 15–90°:
(1 1 0), 27.3 deg, d 3.263, I 49
(1 1 -1), 28.0 deg, d 3.192, I 83
(4 0 0), 30.8 deg, d 2.903, I 100
(0 0 3), 30.9 deg, d 2.890, I 97
(4 0 -3), 32.2 deg, d 2.776, I 84
(3 1 -2), 35.0 deg, d 2.564, I 74
(1 1 2), 36.5 deg, d 2.460, I 54
(3 1 1), 39.7 deg, d 2.272, I 42
(5 1 -1), 44.4 deg, d 2.040, I 33
(4 0 3), 54.0 deg, d 1.699, I 42
(4 2 0), 63.5 deg, d 1.466, I 69
(8 0 0), 64.2 deg, d 1.450, I 43

~~~~~

1.
>>>

**Worked solution**
Largest 12 diffraction maxima, by angle, 2θ = 15–90°:
Largest 12 diffraction maxima, by angle, 2θ = 15–90°:
Largest 12 diffraction maxima, by angle, 2θ = 15–90°:
Largest 12 diffraction maxima, by angle, 2θ = 15–90°: